Work order:
The reader should transcribe everything underneath without altering anything.

Source:
____________
First-principles (GGA-PBE) data for an optimized crystal structure of PrErTh2, as listed in the Alexandria database.

* V: 131.0 Å³ per cell
* calculated formation energy: 0.0775 eV/atom
* crystal system: tetragonal
* energy relative to the lowest polymorph listed for this composition: 0.047 eV/atom
* ρ: 9.8 g/cm³

a b c (Å): 3.563 3.563 10.317
angles (deg): 90.00 90.00 90.00
Space group P4/mmm (No. 123)
Unique sites:
Pr 0.000 0.000 0.000 [1 per cell]
Er 0.000 0.000 0.500 [1 per cell]
Th 0.500 0.500 0.257 [2 per cell]

=====

The following is a DFT calculation (PBE-GGA) of an optimized crystal structure of YSi.

Computed properties:
Uncorrected formation energy = -0.49 eV/atom

Cell lengths 12.932, 4.236, 5.517 Å; angles 90.00, 90.00, 90.00 degrees
Fractional positions:
Y 0.702 0.500 0.684
Y 0.202 0.000 0.184
Y 0.500 0.000 0.336
Y 0.298 0.500 0.684
Y 0.798 0.000 0.184
Y 0.000 0.500 0.836
Si 0.357 0.500 0.190
Si 0.000 0.000 0.419
Si 0.643 0.500 0.190
Si 0.500 0.500 0.919
Si 0.857 0.000 0.690
Si 0.143 0.000 0.690

=====

The following is a DFT calculation (PBE-GGA) of an optimized crystal structure of PC.

Computed properties:
ΔE_f = 1.18 eV per atom

Cell lengths 5.156, 5.156, 6.630 Å; angles 72.13, 72.13, 33.63 degrees
Fractional positions:
C 0.574 0.574 0.203
C 0.693 0.693 0.684
C 0.891 0.891 0.104
P 0.094 0.094 0.039
P 0.380 0.380 0.248
P 0.200 0.200 0.555

=====

The following is a DFT calculation (PBE-GGA) of an optimized crystal structure of U5GeS4.

Computed properties:
Uncorrected formation energy = -1.10 eV/atom

Cell lengths 3.971, 5.547, 10.215 Å; angles 105.75, 101.21, 90.00 degrees
Site moments in Bohr magnetons follow the coordinates.
Fractional positions:
Ge 0.000 0.000 0.000  -0.06
S 0.204 0.204 0.409  -0.07
S 0.401 0.401 0.801  -0.07
S 0.599 0.599 0.199  -0.07
S 0.796 0.796 0.591  -0.07
U 0.393 0.893 0.786  1.93
U 0.607 0.107 0.214  1.93
U 0.802 0.302 0.603  2.08
U 0.000 0.500 0.000  1.99
U 0.198 0.698 0.397  2.08

=====

The following is a DFT calculation (PBE-GGA) of an optimized crystal structure of PrIn6S8.

Computed properties:
Uncorrected formation energy = -0.54 eV/atom

Cell lengths 7.234, 7.234, 7.234 Å; angles 94.78, 94.78, 94.78 degrees
Fractional positions:
In 0.230 0.337 0.620
In 0.620 0.230 0.337
In 0.337 0.620 0.230
In 0.380 0.770 0.663
In 0.663 0.380 0.770
In 0.770 0.663 0.380
S 0.636 0.904 0.176
S 0.364 0.096 0.824
S 0.176 0.636 0.904
S 0.824 0.364 0.096
S 0.096 0.824 0.364
S 0.904 0.176 0.636
S 0.739 0.739 0.739
S 0.261 0.261 0.261
Pr 0.000 0.000 0.000

=====

The following is a DFT calculation (PBE-GGA) of an optimized crystal structure of Ti6Zn10Cu.

Computed properties:
ΔE_f = -0.04 eV per atom

Cell lengths 5.474, 7.504, 7.504 Å; angles 120.00, 90.00, 90.00 degrees
Fractional positions:
Zn 0.840 0.289 0.000
Zn 0.500 0.667 0.333
Zn 0.160 0.711 0.000
Zn 0.160 0.289 0.289
Zn 0.840 0.000 0.289
Zn 0.500 0.333 0.667
Zn 0.840 0.711 0.711
Zn 0.000 0.667 0.333
Zn 0.000 0.333 0.667
Zn 0.160 0.000 0.711
Ti 0.672 0.000 0.643
Ti 0.328 0.357 0.000
Ti 0.328 0.643 0.643
Ti 0.328 0.000 0.357
Ti 0.672 0.643 0.000
Ti 0.672 0.357 0.357
Cu 0.500 0.000 0.000

=====

The following is a DFT calculation (PBE-GGA) of an optimized crystal structure of AlFe2Si.

Computed properties:
Uncorrected formation energy = -0.04 eV/atom

Cell lengths 8.012, 8.012, 8.012 Å; angles 19.44, 19.44, 19.44 degrees
Site moments in Bohr magnetons follow the coordinates.
Fractional positions:
Si 0.508 0.508 0.508  -0.04
Al 0.746 0.746 0.746  -0.04
Fe 0.249 0.249 0.249  1.41
Fe 0.997 0.997 0.997  1.84

=====

| no. | total magnetization (Bohr magnetons per cell) |
| --- | --- |
| 1 | 0.00 |
| 2 | 0.00 |
| 3 | 10.93 |
| 4 | 0.00 |
| 5 | 0.00 |
| 6 | 3.01 |
____________

Response:
First-principles (GGA-PBE) data for an optimized crystal structure of PrErTh2, as listed in the Alexandria database.

* V: 131.0 Å³ per cell
* calculated formation energy: 0.0775 eV/atom
* crystal system: tetragonal
* energy relative to the lowest polymorph listed for this composition: 0.047 eV/atom
* ρ: 9.8 g/cm³

a b c (Å): 3.563 3.563 10.317
angles (deg): 90.00 90.00 90.00
Space group P4/mmm (No. 123)
Unique sites:
Pr 0.000 0.000 0.000 [1 per cell]
Er 0.000 0.000 0.500 [1 per cell]
Th 0.500 0.500 0.257 [2 per cell]

=====

The following is a DFT calculation (PBE-GGA) of an optimized crystal structure of YSi.

Computed properties:
Uncorrected formation energy = -0.49 eV/atom

Cell lengths 12.932, 4.236, 5.517 Å; angles 90.00, 90.00, 90.00 degrees
Fractional positions:
Y 0.702 0.500 0.684
Y 0.202 0.000 0.184
Y 0.500 0.000 0.336
Y 0.298 0.500 0.684
Y 0.798 0.000 0.184
Y 0.000 0.500 0.836
Si 0.357 0.500 0.190
Si 0.000 0.000 0.419
Si 0.643 0.500 0.190
Si 0.500 0.500 0.919
Si 0.857 0.000 0.690
Si 0.143 0.000 0.690

=====

The following is a DFT calculation (PBE-GGA) of an optimized crystal structure of PC.

Computed properties:
ΔE_f = 1.18 eV per atom

Cell lengths 5.156, 5.156, 6.630 Å; angles 72.13, 72.13, 33.63 degrees
Fractional positions:
C 0.574 0.574 0.203
C 0.693 0.693 0.684
C 0.891 0.891 0.104
P 0.094 0.094 0.039
P 0.380 0.380 0.248
P 0.200 0.200 0.555

=====

The following is a DFT calculation (PBE-GGA) of an optimized crystal structure of U5GeS4.

Computed properties:
Uncorrected formation energy = -1.10 eV/atom

Cell lengths 3.971, 5.547, 10.215 Å; angles 105.75, 101.21, 90.00 degrees
Site moments in Bohr magnetons follow the coordinates.
Fractional positions:
Ge 0.000 0.000 0.000  -0.06
S 0.204 0.204 0.409  -0.07
S 0.401 0.401 0.801  -0.07
S 0.599 0.599 0.199  -0.07
S 0.796 0.796 0.591  -0.07
U 0.393 0.893 0.786  1.93
U 0.607 0.107 0.214  1.93
U 0.802 0.302 0.603  2.08
U 0.000 0.500 0.000  1.99
U 0.198 0.698 0.397  2.08

=====

The following is a DFT calculation (PBE-GGA) of an optimized crystal structure of PrIn6S8.

Computed properties:
Uncorrected formation energy = -0.54 eV/atom

Cell lengths 7.234, 7.234, 7.234 Å; angles 94.78, 94.78, 94.78 degrees
Fractional positions:
In 0.230 0.337 0.620
In 0.620 0.230 0.337
In 0.337 0.620 0.230
In 0.380 0.770 0.663
In 0.663 0.380 0.770
In 0.770 0.663 0.380
S 0.636 0.904 0.176
S 0.364 0.096 0.824
S 0.176 0.636 0.904
S 0.824 0.364 0.096
S 0.096 0.824 0.364
S 0.904 0.176 0.636
S 0.739 0.739 0.739
S 0.261 0.261 0.261
Pr 0.000 0.000 0.000

=====

The following is a DFT calculation (PBE-GGA) of an optimized crystal structure of Ti6Zn10Cu.

Computed properties:
ΔE_f = -0.04 eV per atom

Cell lengths 5.474, 7.504, 7.504 Å; angles 120.00, 90.00, 90.00 degrees
Fractional positions:
Zn 0.840 0.289 0.000
Zn 0.500 0.667 0.333
Zn 0.160 0.711 0.000
Zn 0.160 0.289 0.289
Zn 0.840 0.000 0.289
Zn 0.500 0.333 0.667
Zn 0.840 0.711 0.711
Zn 0.000 0.667 0.333
Zn 0.000 0.333 0.667
Zn 0.160 0.000 0.711
Ti 0.672 0.000 0.643
Ti 0.328 0.357 0.000
Ti 0.328 0.643 0.643
Ti 0.328 0.000 0.357
Ti 0.672 0.643 0.000
Ti 0.672 0.357 0.357
Cu 0.500 0.000 0.000

=====

The following is a DFT calculation (PBE-GGA) of an optimized crystal structure of AlFe2Si.

Computed properties:
Uncorrected formation energy = -0.04 eV/atom

Cell lengths 8.012, 8.012, 8.012 Å; angles 19.44, 19.44, 19.44 degrees
Site moments in Bohr magnetons follow the coordinates.
Fractional positions:
Si 0.508 0.508 0.508  -0.04
Al 0.746 0.746 0.746  -0.04
Fe 0.249 0.249 0.249  1.41
Fe 0.997 0.997 0.997  1.84

=====

| no. | total magnetization (Bohr magnetons per cell) |
| --- | --- |
| 1 | 0.00 |
| 2 | 0.00 |
| 3 | 10.93 |
| 4 | 0.00 |
| 5 | 0.00 |
| 6 | 3.01 |